********
1.
This record from the OMol25 dataset describes a structure of composition C46H36N2PRe. The level of theory is ωB97M-V with the def2-TZVPD basis set.

```
86
Properties=species:S:1:pos:R:3:forces:R:3
Re 0.308 -0.360 0.358 -0.4 0.0 0.4
C -3.753 -3.478 -2.875 0.0 0.0 -0.1
C -4.070 -3.770 -1.560 0.0 0.0 0.1
C -3.500 -3.039 -0.526 0.0 0.0 0.0
C -2.606 -2.011 -0.817 -0.1 0.0 0.0
C -2.285 -1.724 -2.143 0.0 -0.1 0.0
C -2.858 -2.456 -3.168 0.0 0.0 0.0
P -1.956 -0.958 0.500 0.1 -0.1 0.0
C -2.268 -1.813 2.059 0.0 0.0 0.1
C -1.671 -3.062 2.250 0.0 0.0 0.0
C -1.805 -3.713 3.462 0.0 0.0 0.0
C -2.517 -3.115 4.497 0.0 0.0 0.0
C -3.105 -1.876 4.312 0.0 0.0 0.0
C -2.985 -1.222 3.092 0.0 -0.1 0.0
C -2.825 0.611 0.476 0.0 0.0 -0.1
C -4.186 0.778 0.496 0.0 0.1 0.0
C -4.726 2.077 0.450 0.0 0.0 0.0
C -3.895 3.164 0.382 0.0 0.0 0.0
C -2.488 3.016 0.351 0.0 0.1 0.0
C -1.610 4.129 0.290 0.0 0.0 0.0
C -0.259 3.938 0.261 0.0 -0.1 0.0
C 0.284 2.633 0.282 0.0 0.1 0.0
C -0.512 1.512 0.334 -0.2 0.0 -0.1
C -1.939 1.716 0.383 0.1 -0.1 0.0
H -4.200 -4.049 -3.677 0.0 0.0 0.0
H -4.762 -4.568 -1.331 0.0 0.0 0.0
H -3.750 -3.275 0.499 0.0 0.0 0.0
H -1.574 -0.947 -2.374 0.0 0.1 0.0
H -2.601 -2.235 -4.195 0.0 0.0 0.0
H -1.110 -3.526 1.446 0.0 0.0 0.0
H -1.356 -4.687 3.603 0.0 0.0 0.0
H -2.613 -3.622 5.448 0.0 0.0 0.0
H -3.658 -1.412 5.118 0.0 0.0 0.0
H -3.449 -0.256 2.951 0.0 0.1 0.0
H -4.847 -0.079 0.545 0.0 0.0 0.0
H -5.798 2.212 0.465 0.0 0.0 0.0
H -4.311 4.162 0.347 0.0 0.0 0.0
H -2.027 5.128 0.272 0.0 0.0 0.0
H 0.407 4.789 0.219 0.0 0.0 0.0
H 1.364 2.525 0.235 0.0 0.0 0.0
C 3.843 -3.131 1.595 0.0 0.0 0.0
C 3.900 -1.920 0.937 -0.1 0.1 0.0
C 2.947 -0.941 1.219 0.1 -0.1 0.0
C 1.922 -1.202 2.133 0.0 -0.1 -0.1
C 1.874 -2.431 2.803 -0.1 0.1 0.0
C 2.835 -3.381 2.532 0.1 0.0 0.0
N 0.877 -0.231 2.200 0.1 -0.2 0.2
C 0.633 0.432 3.428 0.1 0.0 -0.2
C -0.540 1.160 3.600 0.0 0.0 0.1
C -0.776 1.814 4.798 0.0 0.0 0.0
C 0.146 1.740 5.834 0.0 0.0 0.0
C 1.315 1.015 5.659 0.0 0.0 0.0
C 1.567 0.367 4.460 0.0 0.1 0.1
H 4.584 -3.891 1.391 0.0 0.0 0.0
H 4.684 -1.720 0.220 0.0 0.0 0.0
H 3.021 0.053 0.781 0.0 0.0 0.0
H 1.073 -2.619 3.506 0.0 0.0 0.0
H 2.804 -4.334 3.042 0.0 0.0 0.0
H -1.265 1.218 2.802 0.0 0.0 0.0
H -1.690 2.379 4.921 0.0 0.0 0.0
H -0.044 2.247 6.769 0.0 0.0 0.0
H 2.045 0.958 6.455 0.0 0.0 0.0
H 2.491 -0.180 4.330 0.0 0.0 0.0
C 1.768 -4.564 -2.793 0.0 0.0 0.0
C 1.557 -4.311 -1.444 0.0 0.0 0.0
C 1.261 -3.030 -1.011 0.0 -0.1 0.0
C 1.182 -1.981 -1.925 -0.2 0.2 -0.1
C 1.374 -2.239 -3.280 0.0 -0.1 0.1
C 1.668 -3.527 -3.705 0.0 0.0 0.0
N 0.792 -0.672 -1.482 0.5 0.1 -0.3
C 1.148 0.428 -2.347 -0.2 0.0 0.0
C 0.179 1.325 -2.777 0.1 -0.1 -0.1
C 0.546 2.417 -3.550 0.0 0.0 0.0
C 1.876 2.615 -3.890 0.0 0.0 0.0
C 2.842 1.717 -3.456 0.0 0.0 0.0
C 2.484 0.622 -2.687 -0.1 0.1 0.0
H 1.999 -5.565 -3.129 0.0 0.0 0.0
H 1.624 -5.112 -0.721 0.0 0.0 0.0
H 1.091 -2.871 0.052 0.0 0.1 0.0
H 1.284 -1.439 -4.000 0.0 0.0 0.0
H 1.814 -3.715 -4.760 0.0 0.0 0.0
H -0.853 1.186 -2.488 -0.1 0.0 0.0
H -0.211 3.115 -3.880 0.0 0.0 0.0
H 2.162 3.468 -4.490 0.0 0.0 0.0
H 3.880 1.867 -3.719 0.0 0.0 0.0
H 3.233 -0.083 -2.351 0.0 0.0 0.0
```
Forces are in eV/Å.

Output
* expectation value of S²: 0.77
* charge: +1
* orbital gap (alpha / beta): 6.105 / 6.904 eV
* multiplicity: 2


2.
This record from the OMol25 dataset describes a structure of composition C4H8N2O. The level of theory is ωB97M-V with the def2-TZVPD basis set.

```
15
Properties=species:S:1:pos:R:3:forces:R:3
C -0.185 0.243 0.281 -0.1 -0.7 1.1
C 0.782 0.096 -0.808 -0.7 0.2 -5.3
C 0.279 0.994 1.505 -0.1 -0.4 -0.1
N 0.518 -1.275 -1.174 1.8 0.8 -3.1
C 0.042 -1.853 -0.082 -0.9 0.8 1.4
N -1.519 0.494 -0.037 0.1 -0.6 0.1
O -0.279 -2.941 0.262 0.0 0.2 -0.1
H 0.709 -1.373 -2.244 -0.6 -1.5 2.4
H -1.943 1.355 0.265 -0.1 -0.2 -0.2
H -1.920 -0.090 -0.755 -0.3 0.6 0.1
H 1.822 0.300 -0.579 0.1 0.1 0.1
H 0.518 0.476 -2.067 0.8 0.7 3.6
H 1.330 0.798 1.704 0.0 0.0 0.1
H -0.319 0.707 2.370 0.1 0.0 0.0
H 0.164 2.069 1.360 -0.1 0.2 -0.1
```
Forces are in eV/Å.

Output
********
Next, work out how many lines above have the word "set" in them; a number is enough.
2